(File)
- - -
1.
MgMn2H: optimized geometry, PBE.

Computed properties:
Calculated density in g/cm3: 4.2
Crystal system: cubic
Relative energy among the computed polymorphs in meV per atom: 0
VASP energy in eV/atom: -5.58
Space group: Fd-3m (227)
DOS at the Fermi energy in states/eV per cell: 3.9

Lattice parameters (Å, degrees): 5.3464 5.3464 5.3464 60.00 60.00 60.00
With the nearest neighbours (Å) after each atom.
Positions (direct):
Mg1 0.1250 0.1250 0.1250  12 Mn 3.13, 4 H 3.27, 4 Mg 3.27
Mg2 0.8750 0.8750 0.8750  12 Mn 3.13, 4 Mg 3.27, 4 H 3.27
Mn1 0.0000 0.5000 0.5000  2 H 1.64
Mn2 0.5000 0.0000 0.5000  2 H 1.64
Mn3 0.5000 0.5000 0.0000  2 H 1.64
Mn4 0.5000 0.5000 0.5000  2 H 1.64
H1 0.3750 0.3750 0.3750  4 Mn 1.64
H2 0.6250 0.6250 0.6250  4 Mn 1.64


2.
Mg3MnH7: optimized geometry, PBE.

Computed properties:
Calculated density in g/cm3: 2.3
Crystal system: hexagonal
VASP energy in eV/atom: -3.67
Space group: P6_3/mmc (194)
DOS at the Fermi energy in states/eV per cell: 0.0

Lattice parameters (Å, degrees): 4.6377 4.6377 10.2686 90.00 90.00 120.00
With the nearest neighbours (Å) after each atom.
Positions (direct):
Mg1 0.0000 0.0000 0.2500  6 H 2.08
Mg2 0.0000 0.0000 0.7500  6 H 2.08
Mg3 0.3333 0.6667 0.0664  1 H 1.89
Mg4 0.3333 0.6667 0.4336  1 H 1.89
Mg5 0.6667 0.3333 0.5664  1 H 1.89
Mg6 0.6667 0.3333 0.9336  1 H 1.89
Mn1 0.0000 0.0000 0.0000  6 H 1.63
Mn2 0.0000 0.0000 0.5000  6 H 1.63
H1 0.1643 0.3286 0.5932  1 Mn 1.63
H2 0.1643 0.3286 0.9068  1 Mn 1.63
H3 0.1643 0.8357 0.5932  1 Mn 1.63
H4 0.1643 0.8357 0.9068  1 Mn 1.63
H5 0.3286 0.1643 0.0932  1 Mn 1.63
H6 0.3286 0.1643 0.4068  1 Mn 1.63
H7 0.3333 0.6667 0.2500  2 Mg 1.89
H8 0.6667 0.3333 0.7500  2 Mg 1.89
H9 0.6714 0.8357 0.5932  1 Mn 1.63
H10 0.6714 0.8357 0.9068  1 Mn 1.63
H11 0.8357 0.1643 0.0932  1 Mn 1.63
H12 0.8357 0.1643 0.4068  1 Mn 1.63
H13 0.8357 0.6714 0.0932  1 Mn 1.63
H14 0.8357 0.6714 0.4068  1 Mn 1.63

=====

# GGA-PBE RbScWS2, optimized geometry
# total magnetization: 4.85 μB/f.u.
# energy relative to the elements, uncorrected: 2.035 eV/atom
# total energy: -18.33 eV per formula unit
# symmetry: P4/mmm (123)
data_RbScWS2
_symmetry_space_group_name_H-M 'P 1'
_symmetry_Int_Tables_number 1
_symmetry_space_group_name_Hall 'P 1'
_cell_length_a 5.480
_cell_length_b 5.480
_cell_length_c 5.256
_cell_angle_alpha 90.00
_cell_angle_beta 90.00
_cell_angle_gamma 90.00
loop_
_atom_site_label
_atom_site_type_symbol
_atom_site_fract_x
_atom_site_fract_y
_atom_site_fract_z
Rb1 Rb 0.000 0.000 0.000
Sc1 Sc 0.500 0.500 0.500
W1 W 0.000 0.000 0.500
S1 S 0.000 0.500 0.000
S2 S 0.500 0.000 0.000


# GGA-PBE Rb3Y2ScS6, optimized geometry
# total magnetization: 0.00 μB/f.u.
# energy relative to the elements, uncorrected: -1.804 eV/atom
# total energy: -68.57 eV per formula unit
# symmetry: C2/m (12)
data_Rb3Y2ScS6
_symmetry_space_group_name_H-M 'P 1'
_symmetry_Int_Tables_number 1
_symmetry_space_group_name_Hall 'P 1'
_cell_length_a 6.955
_cell_length_b 6.955
_cell_length_c 8.007
_cell_angle_alpha 98.33
_cell_angle_beta 98.33
_cell_angle_gamma 120.00
loop_
_atom_site_label
_atom_site_type_symbol
_atom_site_fract_x
_atom_site_fract_y
_atom_site_fract_z
Rb1 Rb 0.000 0.000 0.000
Rb2 Rb 0.332 0.668 0.000
Rb3 Rb 0.668 0.332 0.000
Y1 Y 0.167 0.833 0.500
Y2 Y 0.833 0.167 0.500
Sc1 Sc 0.500 0.500 0.500
S1 S 0.116 0.437 0.311
S2 S 0.242 0.242 0.689
S3 S 0.437 0.116 0.311
S4 S 0.563 0.884 0.689
S5 S 0.758 0.758 0.311
S6 S 0.884 0.563 0.689


# GGA-PBE Rb2ScZn2S4, optimized geometry
# total magnetization: 0.00 μB/f.u.
# energy relative to the elements, uncorrected: -1.108 eV/atom
# total energy: -37.29 eV per formula unit
# symmetry: C2/m (12)
data_Rb2ScZn2S4
_symmetry_space_group_name_H-M 'P 1'
_symmetry_Int_Tables_number 1
_symmetry_space_group_name_Hall 'P 1'
_cell_length_a 8.017
_cell_length_b 8.017
_cell_length_c 8.024
_cell_angle_alpha 112.13
_cell_angle_beta 112.13
_cell_angle_gamma 27.57
loop_
_atom_site_label
_atom_site_type_symbol
_atom_site_fract_x
_atom_site_fract_y
- - -

(To do)
The reader should reproduce everything further up word for word.

(Response)
1.
MgMn2H: optimized geometry, PBE.

Computed properties:
Calculated density in g/cm3: 4.2
Crystal system: cubic
Relative energy among the computed polymorphs in meV per atom: 0
VASP energy in eV/atom: -5.58
Space group: Fd-3m (227)
DOS at the Fermi energy in states/eV per cell: 3.9

Lattice parameters (Å, degrees): 5.3464 5.3464 5.3464 60.00 60.00 60.00
With the nearest neighbours (Å) after each atom.
Positions (direct):
Mg1 0.1250 0.1250 0.1250  12 Mn 3.13, 4 H 3.27, 4 Mg 3.27
Mg2 0.8750 0.8750 0.8750  12 Mn 3.13, 4 Mg 3.27, 4 H 3.27
Mn1 0.0000 0.5000 0.5000  2 H 1.64
Mn2 0.5000 0.0000 0.5000  2 H 1.64
Mn3 0.5000 0.5000 0.0000  2 H 1.64
Mn4 0.5000 0.5000 0.5000  2 H 1.64
H1 0.3750 0.3750 0.3750  4 Mn 1.64
H2 0.6250 0.6250 0.6250  4 Mn 1.64


2.
Mg3MnH7: optimized geometry, PBE.

Computed properties:
Calculated density in g/cm3: 2.3
Crystal system: hexagonal
VASP energy in eV/atom: -3.67
Space group: P6_3/mmc (194)
DOS at the Fermi energy in states/eV per cell: 0.0

Lattice parameters (Å, degrees): 4.6377 4.6377 10.2686 90.00 90.00 120.00
With the nearest neighbours (Å) after each atom.
Positions (direct):
Mg1 0.0000 0.0000 0.2500  6 H 2.08
Mg2 0.0000 0.0000 0.7500  6 H 2.08
Mg3 0.3333 0.6667 0.0664  1 H 1.89
Mg4 0.3333 0.6667 0.4336  1 H 1.89
Mg5 0.6667 0.3333 0.5664  1 H 1.89
Mg6 0.6667 0.3333 0.9336  1 H 1.89
Mn1 0.0000 0.0000 0.0000  6 H 1.63
Mn2 0.0000 0.0000 0.5000  6 H 1.63
H1 0.1643 0.3286 0.5932  1 Mn 1.63
H2 0.1643 0.3286 0.9068  1 Mn 1.63
H3 0.1643 0.8357 0.5932  1 Mn 1.63
H4 0.1643 0.8357 0.9068  1 Mn 1.63
H5 0.3286 0.1643 0.0932  1 Mn 1.63
H6 0.3286 0.1643 0.4068  1 Mn 1.63
H7 0.3333 0.6667 0.2500  2 Mg 1.89
H8 0.6667 0.3333 0.7500  2 Mg 1.89
H9 0.6714 0.8357 0.5932  1 Mn 1.63
H10 0.6714 0.8357 0.9068  1 Mn 1.63
H11 0.8357 0.1643 0.0932  1 Mn 1.63
H12 0.8357 0.1643 0.4068  1 Mn 1.63
H13 0.8357 0.6714 0.0932  1 Mn 1.63
H14 0.8357 0.6714 0.4068  1 Mn 1.63

=====

# GGA-PBE RbScWS2, optimized geometry
# total magnetization: 4.85 μB/f.u.
# energy relative to the elements, uncorrected: 2.035 eV/atom
# total energy: -18.33 eV per formula unit
# symmetry: P4/mmm (123)
data_RbScWS2
_symmetry_space_group_name_H-M 'P 1'
_symmetry_Int_Tables_number 1
_symmetry_space_group_name_Hall 'P 1'
_cell_length_a 5.480
_cell_length_b 5.480
_cell_length_c 5.256
_cell_angle_alpha 90.00
_cell_angle_beta 90.00
_cell_angle_gamma 90.00
loop_
_atom_site_label
_atom_site_type_symbol
_atom_site_fract_x
_atom_site_fract_y
_atom_site_fract_z
Rb1 Rb 0.000 0.000 0.000
Sc1 Sc 0.500 0.500 0.500
W1 W 0.000 0.000 0.500
S1 S 0.000 0.500 0.000
S2 S 0.500 0.000 0.000


# GGA-PBE Rb3Y2ScS6, optimized geometry
# total magnetization: 0.00 μB/f.u.
# energy relative to the elements, uncorrected: -1.804 eV/atom
# total energy: -68.57 eV per formula unit
# symmetry: C2/m (12)
data_Rb3Y2ScS6
_symmetry_space_group_name_H-M 'P 1'
_symmetry_Int_Tables_number 1
_symmetry_space_group_name_Hall 'P 1'
_cell_length_a 6.955
_cell_length_b 6.955
_cell_length_c 8.007
_cell_angle_alpha 98.33
_cell_angle_beta 98.33
_cell_angle_gamma 120.00
loop_
_atom_site_label
_atom_site_type_symbol
_atom_site_fract_x
_atom_site_fract_y
_atom_site_fract_z
Rb1 Rb 0.000 0.000 0.000
Rb2 Rb 0.332 0.668 0.000
Rb3 Rb 0.668 0.332 0.000
Y1 Y 0.167 0.833 0.500
Y2 Y 0.833 0.167 0.500
Sc1 Sc 0.500 0.500 0.500
S1 S 0.116 0.437 0.311
S2 S 0.242 0.242 0.689
S3 S 0.437 0.116 0.311
S4 S 0.563 0.884 0.689
S5 S 0.758 0.758 0.311
S6 S 0.884 0.563 0.689


# GGA-PBE Rb2ScZn2S4, optimized geometry
# total magnetization: 0.00 μB/f.u.
# energy relative to the elements, uncorrected: -1.108 eV/atom
# total energy: -37.29 eV per formula unit
# symmetry: C2/m (12)
data_Rb2ScZn2S4
_symmetry_space_group_name_H-M 'P 1'
_symmetry_Int_Tables_number 1
_symmetry_space_group_name_Hall 'P 1'
_cell_length_a 8.017
_cell_length_b 8.017
_cell_length_c 8.024
_cell_angle_alpha 112.13
_cell_angle_beta 112.13
_cell_angle_gamma 27.57
loop_
_atom_site_label
_atom_site_type_symbol
_atom_site_fract_x
_atom_site_fract_y